How to prepare your business for cold waves in the aftermath of the Beast of the East
When the autumn and winter months roll around each year, businesses know to be prepared for their colder temperatures and harsher weather conditions, all of which can present great risks to the health, safety and well-being of their workers. This is a particular concern for those who are often required to work outdoors, which includes employees in construction, aggregates, and the wider industrial sector. With this in mind, businesses should also be prepared for unexpected cold waves, like this year’s ‘Beast of the East’, which hit the UK suddenly in February 2018. This caused considerable business disruption and created many additional health and safety risks for industrial workers.
The Beast of the East is aptly named, describing the cold and wintery conditions that were brought to the UK from easterly winds that were swept across from Siberia. This resulted in blankets of snow and extremely low temperatures across the country, which caused chaos in the form of burst pipes (which left 2000,000 homes without water), closed schools, undermanned hospitals, and extreme disruption to railways, roads and airports. Research by energy charities National Energy Action and Energy Action Scotland also concluded that last year’s Beast of the East caused around 2,000 extra deaths during its 10-day lifespan. According to the study, most of these deaths were caused by flu viruses, hypothermia, trips and falls, heart attacks and lung problems.
Health and safety risks facing employees in winter
Winter already brings additional health and safety hazards for workers for a number of reasons. These include (but are not limited to):
- Slips, trips and falls caused by walking on icy paths and wet surfaces.
- Cold stress and related conditions (such as trench foot, frostbite and hypothermia) caused by prolonged exposure to extremely low temperatures and adverse weather conditions.
- Being hit by falling objects due to workers not being able to identify hazards in low light levels.
- Being hit by a moving vehicle due to employees not being seen in dark working environments.
- Traffic accidents caused by driving in low light levels and adverse weather conditions.
- The spread of cold and flu viruses when working in enclosed spaces.
According to HSE (the Health and Safety Executive), 40% of major work-related injuries are caused by slips, trips and falls, making them the most common accidents to occur in the workplace. Due to heavy rain and icy conditions, this risk is only heightened in the colder months, with figures from the Hospital Episode Statistics for England showing that 2,919 people were admitted to hospital in 2014/15 due to them falling over on snow or ice.
As RoSPA also explains, although less people tend to drive in snowy and icy conditions, many still take that risk, and winter weather is still a leading cause of traffic accidents. As figures from the Department for Transport (DfT) show, 29 people in the UK were killed in reported accidents where there was snow or ice on the road in 2014.
Unfortunately, weather experts have predicted that Britain is due to face another bitterly cold winter, much like the Beast of the East we experienced back in February. Some computer models indicate that temperatures could soon plummet to below average, bringing with it a heightened risk of heavy snow – and this could last until next February. In fact, January and February are set to be the coldest months, according to Dr David Reynolds, a senior meteorologist with The Weather Company.
Although UK businesses should always be prepared for adverse weather conditions in the autumn and winter months, it’s particularly important that they have the correct Health and Safety procedures in place in the event of another cold wave hitting the country.
Winter health and safety legislation
HSE dictates that under health and safety law, all workers have the right to work in places where risks to their health and safety are properly controlled, and employers have a legal and moral obligation to protect the health, safety and well-being of their staff and any visitors to their business premises. This involves (but is not limited to):
- Complete a risk assessment to determine what could cause harm to employees when working and take the necessary precautions to prevent this from happening.
- Explain to your staff how the risks can be controlled and who is responsible for this.
What comes next are molecular data, not part of the text:
~~~
Record 1
ORCA calculation (ωB97M-V/def2-TZVPD) on a cluster of 2 separate species, C8H10N3 in total at a distorted geometry.

For the gap between HOMO and LUMO, the calculation gives 8.5 eV. As for the lowest unoccupied orbital energy: -4.929 eV. The calculation puts the energy above the lowest of the compared OMol25 structures with the same formula, charge and spin at 63.91 kcal/mol. For the energy, the calculation gives -474.7258 Eh. As for the net charge: +1. The value obtained for the HOMO energy is -13.40 eV.

CARTESIAN COORDINATES (ANGSTROEM)
C -0.5931 0.7687 1.3609
N -0.2510 -2.1873 -2.1434
C 1.6608 0.0831 -0.1046
C 0.4690 0.1568 -0.7002
C -0.7295 0.4194 0.0656
C -1.6248 1.2143 2.3663
N 0.7660 -0.0239 -3.4161
H -1.0531 1.7420 3.1405
H -1.6403 0.5834 -0.5863
C 0.6771 0.5927 1.9644
H -2.1469 0.3529 2.8611
H 0.8404 1.0320 3.0048
H 2.5956 -0.0440 -0.7661
C 0.2405 -0.2436 -2.1208
H -0.7406 -2.4557 -1.2706
N -0.4463 0.2456 -3.2410
H 0.6607 -2.5359 -2.3602
H 2.7524 0.3077 1.7230
H -2.3199 1.8595 1.8462
C 1.7893 0.3142 1.2755
H -0.9062 -2.1820 -2.8990

***

Record 2
ORCA calculation (ωB97M-V/def2-TZVPD) on a structure of composition C21H36P2PtSe at a distorted geometry.

For the gap between HOMO and LUMO (alpha / beta), the calculation gives 5.6 / 6.7 eV. As for the lowest unoccupied orbital energy (alpha / beta): -0.450 / -0.499 eV. As for the multiplicity: 3. The calculation puts the energy above the lowest of the compared OMol25 structures with the same formula, charge and spin at 99.74 kcal/mol. For the energy, the calculation gives -4024.8542 Eh. The value obtained for the HOMO energy (alpha / beta) is -6.05 / -7.24 eV.

CARTESIAN COORDINATES (ANGSTROEM)
C 2.3704 3.2366 -2.9632
C 0.5405 -1.6466 -2.8335
H -1.8368 2.0717 1.4578
C 1.4000 1.3472 -4.7158
H 1.7434 2.2942 -5.1809
C 1.1055 -2.0080 -6.5258
C -1.9625 -0.8051 -4.5183
C -0.1385 0.2366 3.8181
H -0.7353 3.9838 -2.8432
H 2.3008 0.7655 -4.4764
C 0.1765 -2.5275 -4.0472
H -2.4195 -0.0775 -5.2067
C 0.2135 2.3470 2.0226
H -0.9752 -1.6623 -7.6915
H -0.2764 -0.0201 -1.7211
H 3.2780 2.6481 -3.0277
C -0.5413 3.2882 -3.6653
C 1.6180 0.5810 -0.0755
C 0.4623 0.6101 -5.6935
H 0.7112 0.3462 0.4895
H -0.3544 1.2813 -5.9877
H -2.1889 0.1581 3.0951
H 2.3658 3.6810 -1.9308
H 1.9607 0.5495 4.3308
C -0.6840 -0.8702 -2.2914
H -2.3790 -1.6051 -6.6433
C -2.2231 -3.0604 -3.3759
C -2.9810 -1.8901 -4.0472
H 0.9570 -3.1027 -6.4525
Se 0.6677 3.6337 0.7769
H -0.1421 3.8176 -4.5259
C -1.6974 -0.3321 -3.2267
H -1.4570 2.7380 -3.9321
H -0.2707 -0.5690 4.5402
H -1.1647 -1.4956 -1.5250
C -1.2134 0.6552 3.0189
C -1.0450 1.7146 2.1154
P -0.1507 -1.0710 -5.3343
H 1.8928 -0.2462 -0.7270
H -2.0565 0.6734 -2.9782
H 0.9411 -1.7415 -7.5882
H 0.9363 -2.2951 -2.0318
C 1.1064 0.8781 3.7364
P 0.8394 2.1578 -3.2253
H 2.2473 2.4178 2.7427
H 1.0595 -3.0986 -4.3822
H -1.9868 -2.8152 -2.3316
H 1.3767 -0.9621 -3.0940
H -0.8946 -4.3499 -4.5499
H -2.9157 -3.9155 -3.3440
H -1.2782 -2.9675 -6.5287
H 2.3235 3.9972 -3.7306
C 1.2732 1.9440 2.8699
~~~
End of the molecular data:
- Provide employees with health and safety training and any protective workwear or equipment they need free of charge. You should also ensure that it’s correctly maintained.
- Provide toilets, washing facilities, drinking water and adequate first-aid equipment.
As part of this, workers are also required to follow the training they have received from their employer, take reasonable care to protect their own and health safety (and that of others) in the workplace, and tell someone (such as a supervisor) if they think something is creating a health and safety hazard.
HSE also brings attention to the fact that in autumn and winter, additional hazards are created due to exposure to cold temperatures, and the likes of leaves, ice and snow on the ground causing slips, trips and falls. As they explain, employers should consider and properly manage these risks.
However, one of the areas where this proves difficult is in terms of appropriate working temperatures. For businesses in the UK, the Approved Code of Practice suggests that indoor workplaces should be at least 16C in temperature. However, they only need to be 13C if workers are required to exert rigorous physical effort. Alternatively, for outdoor working environments, there isn’t a minimum temperature, though employers should complete a risk assessment to determine if it’s too cold for outdoor workers. As Worksmart explains, businesses have a duty of care to protect their employees and asking them to work in extreme cold could be a clear breach of this.
When conducting a risk assessment, remember to take into account that wind chill factor can make it feel colder than the temperature actually indicates it to be. Additionally, it’s important to keep in mind that cold stress can be caused by working in conditions that are below 12C.

The safety risks your business should be prepared for
Below, we outline the main health and safety risks your workers and any visitors to your premises may face during cold waves, and the steps your business should take to prevent them from occurring:
Cold stress conditions
=====
A) The following is a quantum chemistry calculation of C2H2N2O2 in the gas phase, from OMol25.

Each line ends with the natural charge from an NBO analysis.
Geometry (Å):
N  -2.25  -0.15  1.68  -0.28
C  -1.15  -0.33  1.20  0.14
C  0.19  -0.61  0.44  0.61
O  0.96  -1.44  0.71  -0.50
N  0.08  0.36  -0.51  -0.36
O  0.96  0.48  -1.71  -0.53
H  -0.69  1.06  -0.64  0.43
H  1.91  0.63  -1.18  0.48

As for the SMILES: N#CC(=O)NO. Its LUMO energy is 0.12 eV. Its orbital gap is 11.28 eV.

B) The following is a quantum chemistry calculation of a molecular structure, C2H2N2O2, from OMol25.

Each line ends with the natural charge from an NBO analysis.
Geometry (Å):
C  0.44  0.32  -0.04  0.75
C  -0.96  -1.04  0.04  0.22
H  2.25  0.08  -0.50  0.49
H  -1.49  -1.90  0.22  0.20
N  -0.59  1.02  0.25  -0.36
N  -1.52  0.07  0.12  -0.24
O  1.67  0.75  -0.38  -0.64
O  0.46  -0.93  0.08  -0.42

Its LUMO energy is 0.47 eV. Its orbital gap is 10.41 eV.

In terms of stability, B) leads; the second structure lies 68.4 kJ/mol higher.

A) The following is a quantum chemistry calculation of C2H2N2O2 in the gas phase, from OMol25.

Each line ends with the natural charge from an NBO analysis.
Geometry (Å):
C  -1.24  -0.72  -0.13  0.20
C  1.36  0.14  -0.40  0.86
N  -0.54  -1.47  -0.78  -0.52
N  0.56  0.88  0.31  -0.38
O  2.34  0.06  -1.04  -0.42
O  -0.81  0.50  0.53  -0.39
H  -2.32  -0.58  0.27  0.20
H  0.66  1.19  1.23  0.45

Its LUMO energy (alpha / beta) is -0.67 / -0.68 eV. Its orbital gap (alpha / beta) is 8.45 / 8.44 eV.

B) The following is a quantum chemistry calculation of 2 unconnected molecules or ions with the total composition C2H2N2O2, from OMol25.

Each line ends with the natural charge from an NBO analysis.
Geometry (Å):
N  2.65  2.27  1.52  -0.11
N  1.63  1.97  1.80  0.44
O  0.57  1.73  2.15  -0.33
C  -0.48  0.46  -0.87  -0.40
C  0.21  -0.19  -0.12  0.32
O  1.12  -0.82  0.59  -0.68
H  -1.26  0.43  -1.58  0.24
H  1.59  -1.56  0.23  0.52

As for the SMILES: N#[N+][O-].C#CO. Its LUMO energy is 0.42 eV. Its orbital gap is 10.21 eV.

In terms of stability, B) leads; the second structure lies 41.0 kJ/mol higher.

A) The following is a quantum chemistry calculation of C3H8BNO in the gas phase, from OMol25.

Each line ends with the natural charge from an NBO analysis.
Geometry (Å):
B  0.59  -1.07  0.26  0.43
C  -1.23  0.62  -0.21  -0.27
C  2.02  -0.24  -0.43  -0.34
C  -1.37  -0.87  0.20  -0.56
N  -0.09  1.29  0.31  -0.32
O  0.98  0.35  0.57  -0.39
H  0.92  -1.71  1.06  -0.11
H  -1.72  -0.84  1.22  0.20
H  -1.11  0.75  -1.36  0.17
H  -2.24  1.07  0.24  0.22
H  2.99  -0.30  0.11  0.21
H  2.05  0.36  -1.33  0.19
H  -1.94  -1.46  -0.36  0.21
H  0.14  2.06  -0.27  0.36

Its LUMO energy is 0.81 eV. Its orbital gap is 9.53 eV.

B) The following is a quantum chemistry calculation of a molecular structure, C3H8BNO, from OMol25.

Each line ends with the natural charge from an NBO analysis.
Geometry (Å):
B  0.48  -0.68  0.03  0.95
C  -0.84  -1.54  -0.04  -0.74
=====
‘Cold stress’ refers to the health conditions and emergencies that can arise due to exposure to extreme cold weather, whether this be through submersion in water or simply spending a prolonged period of time in cold temperatures or adverse weather conditions. Cold stress conditions, such as hypothermia, frostbite, trench foot and chilblains have various causes, such as:
- Hypothermia – the body losing heat faster than it can be produced
- Frostbite – reduced blood flow due to exposed body parts freezing
- Trench foot – the feet having prolonged exposure to wet and cold conditions
- Chilblains – repeated exposure to freezing and boiling temperatures
To prevent cold stress and cold-related illnesses from effecting outdoor workers, you should schedule work to be completed during the warmest parts of the day and ensure they don’t work outside during times when extremely cold temperatures and adverse weather conditions are predicted. Additionally, during times when they are working outside, ensure they are provided with protective workwear and PPE (Personal Protective Equipment) that adequately protects them from the elements. At phs Besafe,
we ensure our protective garments have heavy-duty zips that are reinforced with a press stud overlap to limit wind chill effect.
Education is also extremely important. Make sure your employees are aware of the symptoms of each of these conditions (such as shivering and confusion in the early stages of hypothermia), and that they know the correct steps to take if they think they or another worker are affected by them.
Slips, trips and falls
They might be the most common workplace incident, but there are a number of steps you can take to reduce slips, trips and falls from occurring in your workplace or your employees’ various other working environments. These include:
- Installing entrance mats and matting systems in your premises to collect leaves, rain and other debris from people’s shoes and preventing it from being walked into your workplace.
- Displaying a Wet Floor sign in areas that are slippery due to rain and debris.
- Organising for your building’s external paths to be frequently cleared of leaves, snow and ice.
- Ensuring external paths leading into your building are gritted when needed.
**These records of molecules were left in the page by mistake**
<<<
Record 1
Formula: C14H36O14PbS4
Source: the Open Molecules 2025 dataset
Level of theory: the ωB97M-V functional and the def2-TZVPD basis

Results
Relative energy (zero: lowest compared OMol25 entry of this formula, charge and spin), kcal per mole: 0.0
LUMO level, Eh: 0.007
HOMO-LUMO gap, eV: 8.34
Calculated total energy, hartree: -3393.87366
Spin multiplicity: 1
Total charge: 0

```
69
Properties=species:S:1:pos:R:3:nbo_charge:R:1
Pb 1.2662 1.6063 -0.3559 1.506
O 1.5600 -0.5039 -0.9222 -0.982
C 0.8082 -1.4277 -0.2127 -0.071
C -0.3780 -0.8647 0.6284 -0.070
O -0.3073 0.4501 1.0589 -0.950
H 1.4436 -2.0111 0.4792 0.113
H 0.4114 -2.2306 -0.8549 0.139
H -0.7142 -1.6016 1.3698 0.149
H -1.1670 -0.7934 -0.1586 0.098
O 1.7430 4.2177 3.8197 -0.897
S 1.4892 2.9209 3.3049 2.409
O 1.7753 2.5320 1.9504 -0.988
O 2.2538 1.9084 4.2803 -0.717
C 1.8965 0.4938 4.1913 -0.098
C 3.1465 -0.2457 4.6207 -0.644
C -0.2141 2.4330 3.6713 -0.895
H 1.6333 0.2319 3.1654 0.221
H 1.1462 0.3385 4.9644 0.194
H 3.6411 0.3302 5.4122 0.232
H 3.9552 -0.4236 3.9120 0.218
H 2.9716 -1.1874 5.1500 0.220
H -0.2532 2.4802 4.7619 0.237
H -0.3845 1.4205 3.3198 0.282
H -0.9449 3.1642 3.3382 0.257
O 4.0177 1.0905 0.4708 -0.953
S 5.1351 0.2590 0.1456 2.415
O 6.4642 0.7307 0.3209 -0.916
O 5.0957 -1.1929 0.8002 -0.717
C 3.8621 -1.7123 1.3487 -0.087
C 4.1320 -2.8827 2.2707 -0.628
C 5.0182 -0.2376 -1.5516 -0.913
H 3.3974 -2.1227 0.4425 0.190
H 3.1078 -1.0059 1.6988 0.207
H 4.9230 -3.4241 1.7483 0.223
H 3.2340 -3.4829 2.3852 0.226
H 4.4874 -2.5618 3.2498 0.210
H 5.9064 -0.7973 -1.8313 0.251
H 4.8238 0.6008 -2.2156 0.246
H 4.1847 -0.9299 -1.6991 0.261
O -0.5443 1.3775 -2.2962 -0.986
S -1.5403 0.8191 -3.1658 2.414
O -2.9175 1.0687 -2.9001 -0.924
O -1.2031 1.2932 -4.6506 -0.710
C -1.1139 2.7029 -4.8591 -0.094
C -0.5480 2.9884 -6.2543 -0.626
C -1.2668 -0.8963 -3.3212 -0.902
H -0.2847 3.0573 -4.2408 0.192
H -2.0061 3.2841 -4.6467 0.202
H -0.9233 3.9115 -6.6874 0.225
H -0.8107 2.1788 -6.9423 0.222
H 0.5403 2.9873 -6.2473 0.212
H -0.1915 -1.0444 -3.1993 0.275
H -1.6690 -1.2441 -4.2653 0.264
H -1.7037 -1.3471 -2.4311 0.264
O -5.7985 -3.4619 1.3630 -0.911
S -5.3861 -2.5265 0.3797 2.364
O -5.7498 -2.6859 -0.9965 -0.955
O -5.9046 -1.0460 0.8193 -0.732
C -6.4858 -0.1811 -0.1766 -0.066
C -5.4918 0.4888 -1.1196 -0.648
C -3.5993 -2.1728 0.4890 -0.862
H -7.0447 0.5053 0.4615 0.190
H -7.2080 -0.7629 -0.7510 0.195
H -4.6416 0.9522 -0.6287 0.222
H -6.0372 1.1212 -1.8141 0.226
H -5.1282 -0.3756 -1.6832 0.221
H -3.3111 -2.3024 1.5226 0.258
H -3.4751 -1.2956 -0.1347 0.255
H -3.1230 -2.9625 -0.1013 0.236
```


Record 2
Formula: C14H37BN3O4
Source: the Open Molecules 2025 dataset
Level of theory: the ωB97M-V functional and the def2-TZVPD basis

Results
LUMO level, Eh: 0.097
HOMO-LUMO gap, eV: 6.10
Calculated total energy, hartree: -1045.59428
Spin multiplicity: 1
Total charge: -1

```
59
Properties=species:S:1:pos:R:3:nbo_charge:R:1
C 0.1385 1.0940 1.5590 -0.656
C -0.6770 1.9087 0.3781 -0.438
C -1.9311 2.8164 0.9186 -0.411
>>>
**Back to the page**
- Providing your workers with slip-resistant footwear or other appropriate protective footwear.
Accidents on the road
In industries where employees are frequently required to hit the road (such as construction), accidents caused by people driving in adverse weather conditions are also a growing concern. Not only can heavy rain, fog and snow make it difficult to see on the road, but heavy rain can also cause cars to aquaplane, while leaves, snow and ice on the road can also cause cars to skid.
As well as checking that the conditions are appropriate for driving before arranging for your employees to set out on their journeys, the main thing you should do is educate them on how to drive safely and appropriately in different weather conditions. According to figures from Direct Line, 97,256 casualties on Britain’s road had ‘speeding’ as a contributing factor. This combined with trickier driving conditions due to cold waves and general winter weather is a considerable health and safety hazard.
At phs Besafe, we care about the health and safety of your employees and we provide our protective workwear supply and laundering services to over 3,000 sites across the UK. To find out more about our workwear supply and rental, industrial laundering, and secure garment destruction services for businesses, contact us today.